my husband doesn’t understand anything about Fibromyalgia. Been married 13 years now I’ve tried everything to educate but I’m lazy it’s this thing or that thing. Why don’t want to be intimate any more!! It just goes on! Well I’m done just can’t figure out how to leave and live alone.
Husband doesn’t understand I’m done - Fibromyalgia Acti...
Husband doesn’t understand I’m done

• What comes next are data records, not part of the article:
/*
[1]
Calculated X-ray powder pattern
Compound: LiVCrP2H2O10
Radiation: λ = 1.5418 Å (Cu Kα)
Structure: a crystal structure in the Materials Project, relaxed with GGA+U
Lines closer than 0.1° are merged.

Cell and atoms:
```
LiVCrP2H2O10
1.0
5.2035 0.0000 0.0000
-1.9691 7.0951 0.0000
-0.9748 -0.7547 14.4636
Li V Cr P H O
3 3 3 6 6 30
direct
0.0000 0.0000 0.0000 Li
0.1484 0.5959 0.2939 Li
0.4826 0.9286 0.6274 Li
0.0791 0.3040 0.6475 V
0.4025 0.6246 0.9794 V
0.7458 0.9707 0.3142 V
0.0745 0.2982 0.1470 Cr
0.4055 0.6288 0.4799 Cr
0.7412 0.9648 0.8138 Cr
0.1482 0.6995 0.7719 P
0.3339 0.2294 0.8555 P
0.4839 0.0265 0.1054 P
0.6648 0.5693 0.1887 P
0.8147 0.3649 0.4389 P
0.9977 0.9014 0.5223 P
0.1927 0.0644 0.2503 H
0.3048 0.8821 0.3852 H
0.5254 0.3958 0.5828 H
0.6392 0.2170 0.7191 H
0.8424 0.7124 0.9086 H
0.9560 0.5321 0.0443 H
0.0053 0.9492 0.4177 O
0.0158 0.5134 0.7119 O
0.0404 0.1207 0.2510 O
0.0502 0.1471 0.8859 O
0.0976 0.4479 0.4077 O
0.1080 0.4755 0.0434 O
0.1435 0.0786 0.5859 O
0.1486 0.6490 0.8763 O
0.1680 0.7625 0.5403 O
0.3159 0.1674 0.0887 O
0.3335 0.2797 0.7514 O
0.3365 0.8501 0.0418 O
0.3730 0.4520 0.5836 O
0.3768 0.4935 0.2160 O
0.4263 0.8028 0.3718 O
0.4324 0.7822 0.7420 O
0.4667 0.4159 0.9158 O
0.4796 0.9768 0.2098 O
0.5034 0.0931 0.8726 O
0.6486 0.5040 0.4232 O
0.6692 0.6189 0.0846 O
0.6802 0.1792 0.3786 O
0.7080 0.8269 0.5480 O
0.7211 0.7916 0.9220 O
0.7603 0.1377 0.7055 O
0.7724 0.1022 0.0786 O
0.8121 0.7461 0.2526 O
0.8176 0.3127 0.5428 O
0.8336 0.4290 0.2060 O
0.9792 0.8363 0.7554 O
```

Most intense lines, 2θ = 15–90°, low angle first:
2θ/deg	I_rel	(hkl)
17.98	49.1	0 1 2
18.34	71.4	1 0 -1
18.76	55.2	1 -1 0
25.69	32.1	1 1 1
26.21	31.2	0 2 1
26.43	63.0	1 1 -2
27.10	100.0	0 1 -4
29.35	78.6	-1 2 2
36.44	34.7	1 1 4
55.89	28.3	0 3 6

[2]
Calculated X-ray powder pattern
Compound: VCuP2O8
Radiation: λ = 1.5418 Å (Cu Kα)
Structure: a crystal structure in the Materials Project, relaxed with GGA+U
Lines closer than 0.1° are merged.

Cell and atoms:
```
VCuP2O8
1.0
4.8527 0.0000 0.0000
0.0000 5.9193 0.0000
-0.2746 0.0000 9.7909
V Cu P O
2 2 4 16
direct
0.0334 0.2500 0.2795 V
0.9666 0.7500 0.7205 V
0.4143 0.2500 0.7835 Cu
0.5857 0.7500 0.2165 Cu
0.0698 0.7500 0.4052 P
0.4087 0.7500 0.9014 P
0.5913 0.2500 0.0986 P
0.9302 0.2500 0.5948 P
0.1713 0.7500 0.5568 O
0.1952 0.5359 0.3332 O
0.1952 0.9641 0.3332 O
0.2436 0.2500 0.6058 O
0.2448 0.5549 0.8238 O
0.2448 0.9451 0.8238 O
0.2834 0.2500 0.1296 O
0.3582 0.7500 0.0529 O
0.6418 0.2500 0.9471 O
0.7166 0.7500 0.8704 O
0.7552 0.0549 0.1762 O
0.7552 0.4451 0.1762 O
0.7564 0.7500 0.3942 O
0.8048 0.0359 0.6668 O
0.8048 0.4641 0.6668 O
0.8287 0.2500 0.4432 O
```

Most intense lines, 2θ = 15–90°, low angle first:
2θ/deg	I_rel	(hkl)
18.12	77.3	0 0 2
20.20	100.0	1 0 -1
20.66	27.8	1 0 1
25.24	43.1	1 1 -1
25.61	42.7	1 1 1
29.68	23.8	1 1 -2
30.20	87.3	0 2 0
36.08	36.7	1 1 -3
36.60	32.2	1 2 -1
36.89	62.9	1 1 3

[3]
Calculated X-ray powder pattern
Compound: YReW2O8
Radiation: λ = 1.5418 Å (Cu Kα)
*/
Hiya, I absolutely hear you! Life is hard enough for us without the burden of trying to make others happy. Trying to feel 'sexy' with fibromyalgia is almost impossible but men particularly struggle without intimacy and it can make them grumpy and not so understanding. Ironically, they say women need to feel loved to be intimate and men need intimacy to feel loved! It's a recipe for a disaster! Unfortunately I don't know much about your options or what support you get living in the US but I know you only get one chance at life and spending it miserably isn't good. I hope you can find a way to leave. Best of luck, sending gentle fibro warrior hugs xx
this is so much a challenging situation to navigate; there are times I go through the same my partner I can really be supportive and then have phases of being really unpleasant and quite attacking (with words) the cruel comments lazy useless etc and it hurts and then suddenly he’s back taking the heavy load - I appreciate it must be hard on him too, this illness is a constant unpredictable battle … and we all live it as a family …. Times I want to leave times I feel I couldn’t manage without him it’s scary but I know I don’t deserve the treatment I receive, I beat myself up enough I don’t need someone else doing it too!
We are strong we fight every day just to get to the end of the day …. You know in your heart what is best for you xxx
Hi Chrisieuk,
It’s a real dilemma to know whether to leave or to stay. I have been struggling with that thought for over 40 years as there was a lot of things and outcomes to consider. In the beginning my children were young so I had no choice but stay. I wasn’t financially independent so that’s was another reason for putting up with his verbal and physical abuse, domineering behaviour, lack of understanding of a wife, flirting and even one episode unfaithfulness. Because of my upbringing I was against divorce and once I forgave him, I lost that opportunity to leave him.
But as I got older and more confident, my health went really downhill. I have lived in his shadow for so long, and however desperate I got, I never had that final courage to leave my husband.
He is an authoritarian and somewhat narcissistic. But now I’m too tired to go anywhere. After my cancer diagnosis in 2016 and my constant flare ups of fibromyalgia and FND, I now seek outside help like with « Time to talk, Pain Clinic, psychotherapy, CBT, mindfulness.
Looking back I should have left him like 30 years ago but now honestly I’m too tired and too ill to start all over etc.
-- The entry is interrupted by calculated crystals --
'''
For V3O5F, a PBE+U-relaxed structure gives the calculated powder diffractogram in this record (Cu Kα X-rays).
Kinematic intensities with the Lorentz-polarization factor, no thermal factor.

Main lines, most intense first (2θ from 10° to 90°):
35.71°, rel. 100; 26.66°, rel. 97; 27.82°, rel. 95; 53.18°, rel. 57; 54.49°, rel. 53; 68.39°, rel. 38

Structural model:
abc: 6.4145 20.0619 2.9948
angles: 90.00 90.00 90.00
Space group Cmmm (No. 65)
Asymmetric unit:
V (0.0000, 0.0000, 0.0000) [2 per cell]
V (0.0000, 0.1610, 0.5000) [4 per cell]
V (0.0000, 0.3220, 0.0000) [4 per cell]
V (0.0000, 0.5000, 0.5000) [2 per cell]
O (0.0000, 0.0645, 0.5000) [4 per cell]
O (0.0000, 0.2634, 0.5000) [4 per cell]
O (0.1964, 0.5000, 0.0000) [4 per cell]
O (0.2094, 0.1656, 0.0000) [8 per cell]
F (0.0000, 0.3958, 0.5000) [4 per cell]

* * * * *

Structure and calculated powder diffraction line list of PaFeSb2O8 (a GGA+U-relaxed structure; CuKα).
Intensities are scaled so that the largest is 100.

Crystal structure
abc: 6.1474 6.1474 5.9643
angles: 90.00 90.00 120.00
Fractional coordinates of all 12 atoms:
Pa  0.0000  0.0000  0.0000
Fe  0.0000  0.0000  0.5000
Sb  0.3333  0.6667  0.3427
Sb  0.6667  0.3333  0.6573
O  0.1523  0.3047  0.2467
O  0.1523  0.8477  0.2467
O  0.3047  0.1523  0.7533
O  0.3333  0.6667  0.6530
O  0.6667  0.3333  0.3470
O  0.6953  0.8477  0.2467
O  0.8477  0.1523  0.7533
O  0.8477  0.6953  0.7533
'''
-- The calculated crystals stop here --
So I feel for you, it’s not an easy decision to take, lots of outcomes to consider. After deep thoughtful thinking and consideration, you’ll have to do what is best for you in the long run.
Take care, I hope my sharing of my personal experience will help you in making the best decision for you.
Warm regards,
Your very brave ❤️
Thank you for your reply Dizzytwo. I don’t know or not sure if I’m brave at all. Some may think of me as stupid and weak…😭😂
You are not weak. Been there done that got the tee shirt. Its like fibro no one knows what its like till they have to deal with it. Thankfully my second marriage is good if somewhat exasperating at times lol But he must be doing something right we've been together 34 yrs. Xx
what a shame im in a similar position with my divorced brother who leaves with me and doesn’t understand my fibromyalgia and he has turned to drinks. Never wants to do shared house work and leaves everything to me.
We love each other deeply and usually have lots of fun when away on holidays or when around people but when at home he lets go and sleeps and moans.
Hi Chrisie, i recently left my 10yr relationship. My Girlfriend did not understand/accept my chronic pains. How I carried on working and doing all the chores!? I think it was the love I had for her. "had". If you cant educate your other half then you need to strongly lay down some rules. Along the line maybe an intervention of some kind! ? Have someone close/good to also support you with this. Take care, Health.
Bless you. You're a very brave lady to consider these changes ahead when you're feeling unwell . Before you jump ship, think about how fibromyalgia affects your mental health and well-being. 🤔 it's hard to advise the right decisions for you to take right now as your emotions are strong in feelings misunderstood by the person who loves you. I would first start by writing a list of things you feel unhappy about in your husband , not understanding your wellbeing.
Consider, are you willing to share with him the way he is making you feel, or could you leave him and your home ? There's so many things you need to ask yourself before you make your plans moving forward.
To write down your concerns which help you to improve your future plans. Years ago, I went through something very much like your situation, and one of my regrets was that I didn't have any firm plans and made mistakes and excuses, which made my leaving more uncomfortable. I ran rather than walked.
Because you are already dealing with fibromyalgia syndromes. I suggest you research your self-help support in your local community and look at what could help you in feeling better in living with a long term illnesse.
Look at your energy levels and how you are dealing with them . Look into chair exercises to keep your muscles strong. Stretching exercises will also support you in all mobility issues. Use a tens machine to support muscle pain. Look at your diet and look at changing your lifestyle to improve your well-being. Distress yourself and if possible, and your environment.
These small changes will give you the courage to make important decisions about your situation. Therefore, your emotions status will improve. Believing in yourself is key and, at times, its very hard to do . You have a wonderful life to live. Just look at ways of supporting yourself through that . Don't let fibromyalgia or others take away your confidence.
Everyone deserves to have kindness and understanding in this world. There are support groups and community centres that will help you and your family understand each other. There are many books and websites that share what it can be like living with fibromyalgia if you go through some of this information with your family and friends. You will know you have done your best to explain this very horrible illness. I hope 🙏 you will remember the main person is you and your happiness through life.
God bless you and big warm hugs 🫂 your never alone while you are a member of this site. You are a brave lady to speak out about the way others make you feel ✨️
Stay safe .xx x
Hi ChrisieukI have the same issue but (see my post 'unsympathetic husband ') after a proper meltdown I think it's getting through. He has picked up the pace on helping me and doesn't expect things to be done now, like he did before. We cannot always suffer in silence, he won't read anything about FM but as I say, a meltdown recently obviously hit home. Good luck and well wishes, take it easy x
Thankfully I've never been married although I've been proposed to 16 times, being single has brought me great joy, dump the selfish unempathetic oath, chuck him out and try finding some peace within yourself then you can move on. Confide in a good friend or close family member or even better reach out to the Samaritans they are wonderful people

Unrelated to this article: records of crystals:
____________
# 1
Calculated X-ray diffraction stick pattern
Compound: Ce2H3S
Radiation: CuKα
Structure: a PBE-relaxed structure

Most intense lines, 10° ≤ 2θ ≤ 90°, by intensity:
| 2θ (°) | I/Imax |
| --- | --- |
| 33.21 | 100.0 |
| 27.16 | 95.2 |
| 37.79 | 45.5 |
| 46.44 | 45.4 |
| 26.64 | 36.0 |
| 55.15 | 31.2 |

Cell and atoms:
```
Ce2H3S
1.0
3.9108 0.0000 0.0000
-1.9554 3.3868 0.0000
0.0000 0.0000 13.3870
Ce H S
4 6 2
direct
0.3333 0.6667 0.1115
0.3333 0.6667 0.3885
0.6667 0.3333 0.6115
0.6667 0.3333 0.8885
0.0000 0.0000 0.0000
0.0000 0.0000 0.5000
0.3333 0.6667 0.5689
0.3333 0.6667 0.9311
0.6667 0.3333 0.0689
0.6667 0.3333 0.4311
0.0000 0.0000 0.2500
0.0000 0.0000 0.7500
```

# 2
Calculated X-ray diffraction stick pattern
Compound: Y2FeSi3
Radiation: CuKα
Structure: a PBE-relaxed structure

Most intense lines, 10° ≤ 2θ ≤ 90°, by intensity:
| 2θ (°) | I/Imax |
| --- | --- |
| 34.06 | 100.0 |
| 44.96 | 55.2 |
| 34.10 | 50.7 |
| 65.75 | 34.0 |
| 57.59 | 31.4 |
| 25.51 | 29.3 |

Cell and atoms:
```
Y2FeSi3
1.0
0.0000 4.0373 6.9763
4.0015 0.0000 6.9763
4.0015 4.0373 0.0000
Y Fe Si
4 2 6
direct
0.2492 0.7508 0.7508
0.2500 0.2500 0.2500
0.7500 0.7500 0.7500
0.7508 0.2492 0.2492
0.1651 0.1651 0.8349
0.8349 0.8349 0.1651
0.1570 0.6714 0.3286
0.3278 0.3278 0.6722
0.3286 0.8430 0.1570
0.6714 0.1570 0.8430
0.6722 0.6722 0.3278
0.8430 0.3286 0.6714
```

Please write out number 2 again, unchanged.
Calculated X-ray diffraction stick pattern
Compound: Y2FeSi3
Radiation: CuKα
Structure: a PBE-relaxed structure

Most intense lines, 10° ≤ 2θ ≤ 90°, by intensity:
| 2θ (°) | I/Imax |
| --- | --- |
| 34.06 | 100.0 |
| 44.96 | 55.2 |
| 34.10 | 50.7 |
| 65.75 | 34.0 |
| 57.59 | 31.4 |
| 25.51 | 29.3 |

Cell and atoms:
```
Y2FeSi3
1.0
0.0000 4.0373 6.9763
4.0015 0.0000 6.9763
4.0015 4.0373 0.0000
Y Fe Si
4 2 6
direct
0.2492 0.7508 0.7508
0.2500 0.2500 0.2500
0.7500 0.7500 0.7500
0.7508 0.2492 0.2492
0.1651 0.1651 0.8349
0.8349 0.8349 0.1651
0.1570 0.6714 0.3286
0.3278 0.3278 0.6722
0.3286 0.8430 0.1570
0.6714 0.1570 0.8430
0.6722 0.6722 0.3278
0.8430 0.3286 0.6714
```


For Sr2PrTc, a crystal structure in OQMD, relaxed with PBE gives the simulated powder diffractogram in this record (Cu Kα).

Structural model:
Lattice parameters (Å, degrees): 4.571 4.571 8.479 90.00 90.00 120.00
Element x y z (fractional)
Sr 0.000 0.000 0.000
Sr 0.333 0.667 0.618
Pr 0.667 0.333 0.311
Tc 0.000 0.000 0.407

Top 10 peaks for 2θ = 10–90°, in order of rising 2θ:
Position (°2θ)  Rel. int.
10.4  83.7
24.8  75.9
30.9  100.0
39.2  22.3
39.4  61.4
40.9  18.4
50.9  24.3
51.4  27.3
59.3  18.1
66.2  21.9

For ThSiSe, a crystal structure in OQMD, relaxed with PBE gives the simulated powder diffractogram in this record (Cu Kα).

Structural model:
Lattice parameters (Å, degrees): 9.293 9.293 9.293 155.12 155.12 35.47
Element x y z (fractional)
Th 0.131 0.131 0.000
Th 0.869 0.869 0.000
Si 0.000 0.500 0.500
Si 0.500 0.000 0.500
Se 0.312 0.312 0.000
Se 0.688 0.688 0.000
____________
So much for the records of crystals:
Hello, Ive ust caught up with your post, very hard for us fibro s too try and get our feelings over too someone that dosent live in our shoes day too day, have you any children ? Sometimes as I read here people hang on for the sake of young children, but when they get independent your then left the 2 of you again, some lovely thoughtful replies too you with friendly advice . I hope if you do move forward you have some close family you could temporary move into with whilst you get yourself together and start again, sending my best wishes to you , take care x